_Entries_
+++
# 1
PrAu | r²SCAN | optimized geometry

Output
The total energy comes out at -40.88 eV/atom. The total moment comes out at 0.000 Bohr magnetons per cell.

Cell lengths 4.856, 5.799, 7.565 Å; angles 90.00, 90.00, 90.00 degrees
Element x y z (fractional)
Pr: 0.250 0.356 0.687
Pr: 0.250 0.144 0.187
Pr: 0.750 0.644 0.313
Pr: 0.750 0.856 0.813
Au: 0.750 0.352 0.960
Au: 0.750 0.148 0.460
Au: 0.250 0.648 0.040
Au: 0.250 0.852 0.540

***

# 2
NaMn16O32 | r²SCAN | optimized geometry

Output
The total energy comes out at -10.82 eV/atom. The total moment comes out at 48.991 Bohr magnetons per cell.

Cell lengths 9.735, 9.735, 5.726 Å; angles 90.00, 90.00, 90.00 degrees
Element x y z (fractional)
O: 0.654 0.703 0.500
O: 0.346 0.297 0.500
O: 0.703 0.346 0.500
O: 0.156 0.203 0.750
O: 0.834 0.543 0.750
O: 0.844 0.797 0.250
O: 0.042 0.662 0.000
O: 0.958 0.338 0.000
O: 0.166 0.457 0.750
O: 0.543 0.166 0.750
O: 0.299 0.653 0.000
O: 0.042 0.662 0.500
O: 0.653 0.701 0.000
O: 0.297 0.654 0.500
O: 0.662 0.958 0.500
O: 0.701 0.347 0.000
O: 0.834 0.543 0.250
O: 0.156 0.203 0.250
O: 0.457 0.834 0.250
O: 0.797 0.156 0.250
O: 0.844 0.797 0.750
O: 0.797 0.156 0.750
O: 0.203 0.844 0.250
O: 0.203 0.844 0.750
O: 0.662 0.958 0.000
O: 0.347 0.299 0.000
O: 0.166 0.457 0.250
O: 0.457 0.834 0.750
O: 0.338 0.042 0.000
O: 0.958 0.338 0.500
O: 0.338 0.042 0.500
O: 0.543 0.166 0.250
Mn: 0.349 0.167 0.251
Mn: 0.848 0.668 0.500
Mn: 0.167 0.651 0.251
Mn: 0.849 0.668 0.000
Mn: 0.668 0.152 0.500
Mn: 0.668 0.151 0.000
Mn: 0.151 0.332 0.000
Mn: 0.167 0.651 0.749
Mn: 0.833 0.349 0.749
Mn: 0.349 0.167 0.749
Mn: 0.651 0.833 0.251
Mn: 0.332 0.848 0.500
Mn: 0.833 0.349 0.251
Mn: 0.332 0.849 0.000
Mn: 0.152 0.332 0.500
Mn: 0.651 0.833 0.749
Na: 0.500 0.500 0.000

***

# 3
GdCuSe2 | r²SCAN | optimized geometry

Output
The total energy comes out at -22.13 eV/atom. The total moment comes out at 0.000 Bohr magnetons per cell.

Cell lengths 6.628, 7.099, 7.347 Å; angles 90.00, 90.00, 96.40 degrees
Element x y z (fractional)
Cu: 0.569 0.045 0.659
Cu: 0.569 0.545 0.841
Cu: 0.431 0.455 0.159
Cu: 0.431 0.955 0.341
Se: 0.402 0.720 0.612
Se: 0.402 0.220 0.888
Se: 0.922 0.503 0.775
Se: 0.078 0.997 0.275
Se: 0.922 0.003 0.725
Se: 0.598 0.280 0.388
Se: 0.078 0.497 0.225
Se: 0.598 0.780 0.112
Gd: 0.193 0.800 0.954
Gd: 0.193 0.300 0.546
Gd: 0.807 0.200 0.046
Gd: 0.807 0.700 0.454

***

# 4
EuAl2S4 | r²SCAN | optimized geometry

Output
The total energy comes out at -13.67 eV/atom. The total moment comes out at 14.000 Bohr magnetons per cell.

Cell lengths 5.994, 5.994, 10.461 Å; angles 90.00, 90.00, 120.67 degrees
Element x y z (fractional)
S: 0.646 0.821 0.500
S: 0.354 0.179 0.500
S: 0.000 0.500 0.337
S: 0.500 0.000 0.163
S: 0.000 0.500 0.663
S: 0.179 0.354 0.000
S: 0.500 0.000 0.837
S: 0.821 0.646 0.000
Al: 0.238 0.760 0.500
Al: 0.760 0.238 0.000
Al: 0.240 0.762 0.000
Al: 0.762 0.240 0.500
Eu: 0.500 0.500 0.250
Eu: 0.500 0.500 0.750

***

# 5
Rb2AgI3 | r²SCAN | optimized geometry

Output
The total energy comes out at -21.75 eV/atom. The total moment comes out at 0.000 Bohr magnetons per cell.

Cell lengths 4.933, 10.372, 20.101 Å; angles 90.00, 90.00, 90.00 degrees
Element x y z (fractional)
Rb: 0.750 0.244 0.042
Rb: 0.250 0.756 0.958
Rb: 0.750 0.744 0.458
Rb: 0.250 0.580 0.212
Rb: 0.750 0.420 0.788
Rb: 0.250 0.256 0.542
Rb: 0.250 0.080 0.288
Rb: 0.750 0.920 0.712
I: 0.750 0.120 0.429
I: 0.750 0.505 0.603
I: 0.250 0.186 0.723
I: 0.250 0.880 0.571
I: 0.750 0.620 0.071
I: 0.250 0.495 0.397
I: 0.750 0.005 0.897
I: 0.750 0.814 0.277
I: 0.250 0.380 0.929
I: 0.750 0.314 0.223
I: 0.250 0.995 0.103
I: 0.250 0.686 0.777
Ag: 0.750 0.863 0.136
Ag: 0.250 0.637 0.636
Ag: 0.250 0.137 0.864
Ag: 0.750 0.363 0.364

***

# 6
Cr3P | r²SCAN | optimized geometry

Output
The total energy comes out at -13.68 eV/atom. The total moment comes out at 0.000 Bohr magnetons per cell.

Cell lengths 4.450, 6.766, 6.766 Å; angles 83.79, 70.80, 70.80 degrees
Element x y z (fractional)
Cr: 0.450 0.611 0.944
+++
_Work order_
Please copy only the lines above with the word "magnetons" in them.
_Worked solution_
The total energy comes out at -40.88 eV/atom. The total moment comes out at 0.000 Bohr magnetons per cell.
The total energy comes out at -10.82 eV/atom. The total moment comes out at 48.991 Bohr magnetons per cell.
The total energy comes out at -22.13 eV/atom. The total moment comes out at 0.000 Bohr magnetons per cell.
The total energy comes out at -13.67 eV/atom. The total moment comes out at 14.000 Bohr magnetons per cell.
The total energy comes out at -21.75 eV/atom. The total moment comes out at 0.000 Bohr magnetons per cell.
The total energy comes out at -13.68 eV/atom. The total moment comes out at 0.000 Bohr magnetons per cell.